An interesting article in the NYT today regarding how well the US is actually doing economically as well as socially compaired to 25 years ago. Sometimes it's good to hear how well things are really going. It help puts things in perspective.
I've posted the article in it's entirety for those not registered at the Times.....
Refuting the Cynics
Published: November 25, 2003
I've posted the article in it's entirety for those not registered at the Times.....
Refuting the Cynics
Published: November 25, 2003
The Economist magazine recently observed that in the 40 years following World War II, "America and Europe seemed to be growing more like one another in almost every way that matters." Demographically, economically and politically, the United States and Europe seemed to be converging.
____________
# 1
Below is a molecular structure, C51H46N3O7PRuTe at a distorted geometry, with properties calculated with the ωB97M-V functional and the def2-TZVPD basis.

## Properties
E_HOMO (spin up / spin down), Ha: -0.220 / -0.297
M, g/mol: 1072.6
Kohn-Sham gap (spin up / spin down), eV: 6.185 / 6.195
Spin multiplicity: 5

Each line ends with the Löwdin charge.
Cartesian coordinates (Å):
1 Ru 0.043 0.081 -0.174  1.27
2 O -1.947 -3.668 -4.444  0.09
3 C -1.510 -2.853 -3.465  -0.27
4 C -1.714 -3.135 -2.113  0.08
5 C -1.228 -2.243 -1.184  -0.17
6 N -0.584 -1.144 -1.562  -0.04
7 C -0.374 -0.857 -2.848  -0.16
8 C -0.818 -1.699 -3.838  0.10
9 C 0.388 0.446 -3.028  -0.58
10 O 0.728 0.827 -4.124  0.10
11 O 0.659 1.039 -1.899  -0.19
12 C -1.323 -2.418 0.324  -0.57
13 O -1.858 -3.401 0.793  0.08
14 O -0.785 -1.444 1.000  -0.16
15 H -2.449 -4.400 -4.068  0.12
16 H -2.228 -4.025 -1.771  0.14
17 H -0.646 -1.461 -4.878  0.14
18 O -0.497 0.910 2.494  -0.21
19 N 0.618 0.776 1.620  -0.27
20 C 1.768 1.084 2.264  -0.11
21 C 3.032 0.533 2.027  -0.23
22 C 4.114 0.945 2.856  -0.05
23 C 5.364 0.404 2.734  -0.09
24 C 5.628 -0.577 1.767  -0.08
25 C 4.608 -0.981 0.929  -0.10
26 C 3.321 -0.455 1.040  -0.31
27 P 2.137 -0.970 -0.219  1.06
28 C 3.096 -0.574 -1.718  -0.34
29 C 3.442 0.779 -1.814  -0.10
30 C 4.101 1.255 -2.929  -0.06
31 C 4.439 0.387 -3.959  -0.07
32 C 4.128 -0.956 -3.857  -0.08
33 C 3.451 -1.439 -2.744  -0.07
34 C 1.996 -2.774 -0.076  -0.32
35 C 1.551 -3.548 -1.149  -0.11
36 C 1.370 -4.913 -0.993  -0.07
37 C 1.592 -5.512 0.237  -0.07
38 C 1.983 -4.738 1.320  -0.06
39 C 2.186 -3.377 1.166  -0.07
40 H -0.839 0.003 2.568  0.07
41 H 1.657 1.770 3.101  0.12
42 H 3.924 1.701 3.608  0.11
43 H 6.162 0.736 3.387  0.10
44 H 6.618 -1.001 1.670  0.10
45 H 4.801 -1.722 0.161  0.11
46 H 3.169 1.452 -1.010  0.11
47 H 4.340 2.308 -3.002  0.11
48 H 4.945 0.760 -4.840  0.10
49 H 4.401 -1.640 -4.650  0.10
50 H 3.216 -2.492 -2.685  0.09
51 H 1.339 -3.091 -2.107  0.09
52 H 1.044 -5.507 -1.838  0.11
53 H 1.458 -6.579 0.357  0.10
54 H 2.120 -5.196 2.291  0.11
55 H 2.487 -2.772 2.012  0.11
56 C -2.933 6.371 6.745  -0.05
57 C -2.772 5.555 5.492  -0.26
58 C -3.628 4.502 5.202  -0.02
59 C -3.478 3.729 4.055  -0.31
60 C -4.433 2.581 3.827  -0.09
61 C -2.456 4.049 3.152  -0.31
62 Te -2.330 2.717 1.389  1.83
63 N -1.636 1.144 -0.200  -0.20
64 C -2.543 1.131 -1.215  -0.57
65 O -2.258 1.089 -2.411  0.07
66 C -4.012 1.150 -0.865  -0.21
67 C -4.880 1.783 -1.749  -0.02
68 C -6.249 1.723 -1.546  -0.07
69 C -6.759 1.013 -0.467  -0.08
70 C -5.897 0.380 0.417  -0.08
71 C -4.526 0.445 0.222  -0.08
72 C -2.217 4.319 -0.014  -0.33
73 C -3.393 5.021 -0.300  -0.29
74 C -4.689 4.756 0.422  -0.06
75 C -3.361 6.019 -1.266  -0.01
76 C -2.196 6.342 -1.948  -0.26
77 C -2.195 7.385 -3.030  -0.05
78 C -1.036 5.655 -1.621  -0.01
79 C -1.020 4.643 -0.668  -0.29
80 C 0.301 3.995 -0.376  -0.07
81 C -1.555 5.077 3.449  -0.28
82 C -0.387 5.383 2.552  -0.05
83 C -1.736 5.824 4.606  -0.01
84 H -3.793 6.037 7.323  0.07
____________
The page goes on:
Then, around the middle of the 1980's, the U.S. and Europe started to diverge. The American work ethic shifted, so that the average American now works 350 hours a year — 9 or 10 weeks — longer than the average European.
American fertility rates bottomed out around 1985, and began rising. Native-born American women now have almost two children on average, while the European rate is 1.4 children per woman and falling.
Economically, the comparisons are trickier, but here too there is divergence. The gap between American and European G.D.P. per capita has widened over the past two decades, and at the moment American productivity rates are surging roughly 5 percent a year.
The biggest difference is that over the past two decades the United States has absorbed roughly 20 million immigrants. This influx of people has led, in the short term, to widening inequality and higher welfare costs as the immigrants are absorbed, but it also means that the U.S. will be, through our lifetimes, young, ambitious and energetic.
**Data records, as found in the file:**
This record from OMol25 describes a molecular structure, C27H33ClGaN2O5 in a non-equilibrium geometry. The level of theory is ωB97M-V/def2-TZVPD.

Summary:
Net charge: -1
Frontier orbital gap, eV: 3.348
Multiplicity: 1

```
69
Properties=species:S:1:pos:R:3:forces:R:3:lowdin_charge:R:1
Ga -1.115507 -0.292756 -0.055634 4.35 1.02 1.27 0.2067
Cl -3.349145 -0.881341 0.805401 -3.24 -1.60 3.20 0.4042
N -0.351889 1.662726 -0.326713 -0.71 1.37 0.16 0.0901
N -0.443851 -2.217813 -0.133895 -0.12 -1.06 0.58 0.0898
C -1.014961 2.486512 -1.113412 -0.41 -1.93 0.80 -0.3511
C -0.781424 -3.064578 -1.072675 -1.07 1.60 0.22 -0.3361
C 1.013322 2.218025 -0.158638 -0.78 -0.36 -0.09 -0.5139
C 0.790727 3.681915 -0.556115 -0.65 0.36 -0.54 -0.0389
C 1.934511 1.500266 -1.139878 0.07 0.09 -0.05 -0.0097
C 1.438694 2.008791 1.275380 0.47 0.35 0.08 -0.0219
H 1.547370 1.579800 -2.163195 0.04 -0.07 0.16 0.0963
H 1.999944 0.442341 -0.872837 -0.02 0.17 -0.13 0.0638
H 2.929211 1.948622 -1.093785 0.16 -0.03 -0.06 0.0815
H 0.685453 2.423706 1.954365 0.26 -0.01 -0.10 0.0938
H 2.408321 2.491517 1.458358 -0.11 -0.10 0.10 0.0977
H 1.524384 0.936367 1.477281 0.04 0.44 0.01 0.0553
C 0.592799 -2.854075 0.702452 -0.36 0.61 -0.29 -0.5221
C 0.900585 -4.143592 -0.055429 -0.27 -0.54 -0.94 -0.0505
C -0.040209 -3.111260 2.060816 0.13 -0.05 0.24 -0.0197
C 1.799014 -1.929027 0.723644 0.09 -0.08 0.23 -0.0281
H 2.138342 -1.775994 -0.310611 0.00 0.02 0.33 0.0935
H 2.600401 -2.382294 1.316623 0.11 0.14 -0.02 0.0907
H 1.511660 -0.966524 1.165002 0.18 -0.32 -0.13 0.0438
H -0.932257 -3.738165 1.914296 0.28 0.09 0.17 0.0991
H -0.362994 -2.158263 2.499778 0.12 -0.36 -0.09 0.0653
H 0.679397 -3.612115 2.723931 -0.22 0.02 0.02 0.0885
O -0.065375 -4.171383 -1.169006 1.05 -1.05 0.50 0.0295
H 0.740935 -5.065930 0.516269 0.04 0.26 -0.01 0.1260
H 1.900119 -4.165279 -0.508343 -0.19 0.07 0.17 0.1262
O -0.458606 3.659577 -1.358569 1.50 1.00 -0.08 0.0133
H 1.560286 4.127646 -1.206802 -0.20 -0.27 0.36 0.1293
H 0.589274 4.332235 0.304372 0.11 -0.13 -0.09 0.1275
C -2.213326 1.997003 -1.850778 0.68 0.80 0.24 -0.0647
C -1.847604 -2.725391 -2.051001 0.65 -0.58 0.49 -0.0629
C -1.307330 -1.481703 -2.640510 0.49 -0.07 -1.84 -0.2291
H -2.770178 -2.464183 -1.503734 0.04 -0.33 -0.19 0.1061
H -1.994172 -3.502692 -2.804969 -0.07 -0.06 0.33 0.1194
C -1.332854 -0.300884 -1.862718 -0.75 -0.30 -0.61 -0.1771
C -1.584078 0.876846 -2.592585 0.44 0.45 -1.67 -0.2361
H -2.689486 -0.439780 -0.279892 -1.11 0.69 -2.96 -0.2390
C -1.051468 0.987237 -3.884078 -1.27 -0.30 1.20 -0.2603
C -0.666192 -0.181218 -4.534342 1.10 0.40 -0.74 -0.0641
C -0.940140 2.318579 -4.530444 -0.01 0.26 -0.49 -0.0589
C -0.765182 -1.426263 -3.923036 -1.33 -0.11 1.14 -0.2590
H -0.352509 -0.119083 -5.572978 0.25 0.00 0.03 0.0860
C -0.418312 -2.679717 -4.639624 -0.09 -0.19 -0.29 -0.0626
H 0.207481 -2.445856 -5.486262 0.33 0.01 -0.36 0.0636
H -1.292986 -3.193918 -5.031169 -0.23 -0.19 -0.05 0.0749
H 0.117854 -3.367104 -3.991673 0.10 -0.19 0.02 0.0703
**So much for the data records:**
Working off U.N. and U.S. census data, Bill Frey, the indispensable University of Michigan demographer, projects that in the year 2050 the median age in the United States will be 35. The median age in Europe will be 52. The implications of that are enormous.
As we settle down to the Thanksgiving table in a few days, we might remind ourselves that whatever other problems grip our country, lack of vitality is not one of them. In fact, we may look back on the period beginning in the middle of the 1980's as the Great Rejuvenation. American life has improved in almost every measurable way, and far from regressing toward the mean, the U.S. has become a more exceptional nation.
The drop in crime rates over the past decade is nothing short of a miracle. Teenage pregnancy and abortion rates rose in the early 1970's and 1980's, then leveled off and now are dropping. Child poverty rates have declined since the welfare reform of the mid-1990's. The black poverty rate dropped "to the lowest rate ever recorded," according to a 2002 study by the National Urban League. The barren South Bronx neighborhood that Ronald Reagan visited in 1980 to illustrate urban blight is now a thriving area, with, inevitably, a Starbucks.
The U.S. economy has enjoyed two long booms in the past two decades, interrupted by two shallow recessions, and perhaps now we're at the start of a third boom. More nations have become democratic in the past two decades than at any other time in history.
In his forthcoming book, "The Progress Paradox," Gregg Easterbrook piles on the happy tidings. The air is cleaner. The water is cleaner and we are using less of it. Our homes have doubled in size in a generation and home ownership rates are at an all-time high. There are now fewer highway deaths in the U.S. than in 1970, even though the number of miles driven has shot up by 75 percent.
+++
A cluster of 11 separate species, C48H81BClF6N2O17 in total at a distorted geometry. Source: OMol25; level of theory: ωB97M-V/def2-TZVPD.

```
156
Properties=species:S:1:pos:R:3:forces:R:3:lowdin_charge:R:1
C -0.7394 4.9931 4.5950 0.907 -0.652 -0.245 -0.12
C -0.9819 4.0865 3.2602 0.694 1.057 0.911 -0.22
C 0.4758 4.0531 2.5211 -0.547 -0.810 0.897 -0.57
Cl 0.6952 5.6160 1.5746 0.062 -1.408 0.591 0.67
C 0.6742 2.7314 1.6232 -0.280 -1.895 -2.597 -0.01
C -0.1379 2.5311 0.2839 0.967 -1.791 0.258 0.02
C -1.2042 3.6002 -0.2782 -0.378 -1.166 0.965 -0.03
B -0.5869 4.3863 -1.5701 -0.243 0.654 -2.057 -0.50
O 0.5366 5.2937 -1.5542 -0.566 -2.751 -0.012 0.05
O -1.1878 4.1213 -2.8797 2.319 -0.569 2.413 0.07
C 0.0167 1.2321 -0.5786 1.711 0.160 3.651 0.10
C -0.7776 0.9377 -1.9259 0.490 0.381 -4.477 -0.32
O -0.1682 1.1119 -3.0223 -1.663 -0.530 4.834 0.11
O -2.1210 0.4943 -2.0110 2.958 0.497 1.408 -0.05
C -2.1846 -0.9663 -2.1494 -0.243 -1.393 0.192 -0.13
C -2.9863 -1.5450 -0.8709 -0.295 0.322 -0.291 -0.19
N -2.0948 -1.7149 0.3354 -0.908 0.200 -0.388 -0.01
C 1.0279 0.1753 -0.0650 -0.214 2.865 1.887 0.03
C 1.3242 -1.1773 -0.8658 -1.842 -2.857 0.655 -0.17
O 0.6629 -2.2306 -0.7180 2.761 4.256 -0.496 0.11
C 2.5569 -1.1901 -1.9000 -0.323 1.928 -1.995 -0.20
F 2.3144 -2.0153 -3.0450 0.683 1.867 3.264 0.07
F 2.6386 0.1529 -2.4260 0.013 -2.813 1.159 0.06
C 3.9793 -1.4767 -1.2125 1.644 1.133 -1.234 -0.19
F 4.9471 -1.5295 -2.2741 -2.286 -0.136 2.550 0.09
F 4.3345 -0.3298 -0.4241 -1.198 -2.935 -1.451 0.08
C 4.0875 -2.8574 -0.4054 0.457 -1.438 0.223 -0.17
F 3.3286 -2.8706 0.8201 1.078 0.243 -2.876 0.06
F 3.6240 -3.8997 -1.2899 0.697 2.611 2.332 0.06
C 5.6164 -3.1999 0.0424 2.270 0.923 0.937 -0.28
O 6.4057 -2.2820 0.3245 -3.055 -3.610 -1.321 0.14
O 5.9186 -4.5895 0.1142 -2.065 3.714 0.152 0.04
C 1.7701 0.4456 1.2560 -2.242 1.000 -2.397 0.08
N 1.5789 1.6584 2.0374 -1.683 -0.737 -2.530 -0.06
C 2.3776 1.7099 3.3235 -0.264 0.381 0.473 -0.01
H -0.0378 4.3966 5.3003 -1.304 0.863 -0.920 0.09
H -0.1514 5.9485 4.3203 -1.234 -1.581 0.303 0.05
H -1.7092 5.2891 5.1089 1.461 -0.521 -0.758 0.08
H -1.3176 3.0285 3.5496 0.438 1.553 -0.578 0.13
H -1.7611 4.6507 2.6468 1.107 -1.143 0.566 0.10
H 1.2356 4.1135 3.3902 -1.032 -0.332 -1.792 0.10
H -1.5662 4.2821 0.5654 0.750 -0.910 -1.232 0.09
H -2.1359 2.9710 -0.5937 1.509 1.071 0.407 0.12
H 1.3075 4.7421 -1.8492 -0.610 1.103 0.291 0.12
H -0.4004 3.8419 -3.4179 -1.202 0.717 0.018 0.11
H -1.1137 -1.3689 -2.2214 -1.630 0.327 0.234 0.11
H -2.6922 -1.2104 -3.1503 0.516 0.533 1.540 0.13
H -3.8129 -0.7661 -0.6551 1.310 -1.247 -0.374 0.13
H -3.5009 -2.5445 -1.1038 0.772 1.479 -0.028 0.13
H -1.9798 -2.7289 0.5142 -0.173 1.059 0.052 0.04
H -2.5434 -1.2908 1.1709 0.347 -0.673 -0.914 0.08
H 5.0923 -4.9762 0.5201 1.143 -0.111 -0.340 0.11
H 2.4954 -0.3591 1.6272 -1.192 1.633 -0.306 0.14
H 3.3140 2.3158 3.0891 -1.161 -0.948 0.586 0.13
H 1.7524 2.2060 4.1570 1.049 -0.877 -1.481 0.12
H 2.5774 0.6326 3.6343 -0.131 1.631 -0.435 0.10
+++
Obviously, huge problems remain. But the overwhelming weight of the evidence suggests that despite all the ugliness of our politics, this is a well-governed nation. The trends of the past two decades stand as howling refutation of those antipolitical cynics who have become more scathing about government even as the results of our policies have been impressive. The evidence also rebukes those gloomy liberals who for two decades have been predicting that the center-right governance of Reagan, Bush, Clinton and Bush would lead to disaster.
Most of all, the evidence rebuts the cultural critics of the right and left, who have bemoaned the rise of narcissism, cultural relativism, greed, and on and on. And while many of these critics have made valid points, if you relied on their work you would have a horribly distorted view of the state of this nation.
In his book, Easterbrook seeks to explain why we feel gloomy even as things go well. I would only add that the beginning of political wisdom in times like these is realistic optimism, and the proper emotion at this season is, as always, gratitude